Birthing Kittens As Seen Through the Eyes of a Cat Breeder
Millie, our black and white pregnant, female Persian cat, was expected to have her kittens on or about August 19, 2014. On August 18th, she started showing some signs of "nesting" behavior – digging in her birthing box, sitting down on her back haunches, and then unsuccessfully trying to lick her very pregnant belly and nether regions, which for a soccer ball with legs was pretty much unreachable. More often than not, Millie would just tip over to one side or the other because she was just so round on her bottom half. Pretty cute if you ask me.

© Pe;aqita Persians
On August 20th in the late afternoon, I was in my bedroom talking on the phone with one of my friends while keeping an eye on Millie, whose rolling and licking behavior continued without any digging behavior or interest in going to lay down in her birthing box. It was obviously the calm before the storm.
At about 6:00 p.m. (all times EST), Millie cried out which was a signal that she was no longer preparing for labor but was in active labor, and a kitten was coming NOW. I hung up the phone (actually, I did it kind of rudely…) and went to sit on the floor next to Millie's enclosure with the enclosure doors open, the towels, scissors, forceps, bulb syringe (to suck fluid out of the baby's mouth and nostrils) right next to me for quick access. On a table by the enclosure is a baby scale, a file folder for this litter already marked with "Millie and ESPY" (the mom and dad) and waiting for me to make notes during the birthing process. Also on this table are more towels, paper towels, zip lock baggies, disinfectant for the umbilical cords, disinfectant for the medical instruments and scissors, and a few medicines that (when used properly) can sometimes save a newborn's life. Throughout the next hour, Millie was not actively straining and was not in distress, but about every 10 minutes, she would have 2-3 light – to moderate contractions, and then nothing for another 10 minutes or so. This continued until about 7:05 p.m. when I made the decision (based upon a digital exam of Millie) that a kitten needed to be born and quickly to try to avoid any losses and the need for an emergency C-section.
At 7:05 p.m., I gave Millie an injection of Oxytocin (a medication which assists with labor contractions).
At 7:25 pm., the first kitten was born. This kitten was a black and white (what used to be called a VAN, meaning it has few or no marks of color on the body other than white and has marks of a 2nd or 3rd color on head, feet, and tail.) This little male weighed in at 3.4 ounces!
At 8:15 p.m., a Calico female was born weighing 3.3 ounces.
Nothing, not even signs of little contractions, so I did another exam of Mille at close to 9:15 p.m. On finding that I could feel a kitten at the tip of my finger (and there was not enough room in there for me to get a hold of the baby to pull it out to birth it), I decided to give Millie a second injection of Oxytocin.
At 9:25 p.m., a blue and white male weighing 3.6 was born healthy and breathing – no problems – and I am very glad I made the decision to assist her contractions with the Oxytocin, or this particular kitten might not have made it. However, Millie retained the placenta for this particular baby. I made a notation on the records to make sure that when the next kitten was born that there were two placentas. A retained placenta can cause a life-threatening uterine infection.
I palpated Millie's stomach to see if I could feel more kittens, and I felt very strongly that there was another kitten still inside. I waited from the time the Blue and White boy had been born at 9:25 p.m. until just after midnight – no kitten or the missing placenta. I did another digital exam but did not feel a kitten. However, I could feel a kitten when palpating her tummy on the outside. Millie was no longer having contractions since the birth at 9:25, so by midnight, I decided that either: (1) I was mistaken, and there was no kitten inside which is why her labor stopped, or (2) there was a dead kitten inside which is again why her labor would have stopped. But in either scenario, that retained placenta had to pass. Therefore, I made myself comfortable and settled in for a long night of observation.
The use of Oxytocin in stimulating contractions can be dangerous as it can cause the uterus to be prolapse (expelled) and should always be used with caution and ONLY under the direction of a veterinarian. My veterinarian has recommended that I give no more than two injections during labor unless otherwise instructed by her. Since Millie had already had two injections of Oxytocin, I was very reluctant to give her another one, AND I was not sure that there was another kitten waiting to be born. This was a judgment call on my part.
At 12:40 a.m., two things happened: (1) the retained placenta was passed, and (2) the last kitten (along with its placenta) was born. However, despite my trying to save this baby, I was unable to. She was a lovely, lovely calico van. She only had a bit of red on the top of her head, down the front of her face, a bit of black on the other side of her face and her tail. She was a stunner and I was very sad to lose her.
A kitten has a finite time once it has detached from the uterine wall to be born or it will die due to Hypoxia (lack of oxygen). Kittens born after a difficult birthing (dystocia) may have a higher risk of death because of the lack of oxygen or the birth of a weak kitten that fails to nurse. There are studies that show that Persian cats experience more birthing problems, including stillborn kittens, than other cat breeds.
**Unrelated to this piece: data records:**
=====
The following is a DFT calculation (PBE) of a relaxed Mg149Ga crystal.

abc: 15.8989 15.8989 15.5414
angles: 90.00 90.00 120.00
Closest atoms and distances in Å follow each position.
Positions (direct):
Mg (0.0000, 0.0000, 0.0000)  12 Mg 3.18
Mg (0.0000, 0.0000, 0.3334)  12 Mg 3.17-3.18
Mg (0.0000, 0.0000, 0.6666)  12 Mg 3.17-3.18
Mg (0.9999, 0.2000, 0.0000)  12 Mg 3.18
Mg (0.9999, 0.2000, 0.3336)  12 Mg 3.17-3.18
Mg (0.9999, 0.2000, 0.6664)  12 Mg 3.17-3.18
Mg (0.0003, 0.4000, 0.0000)  12 Mg 3.18
Mg (0.0003, 0.6003, 0.0000)  12 Mg 3.18
Mg (0.9999, 0.7999, 0.0000)  12 Mg 3.18
Mg (0.9999, 0.7999, 0.3336)  12 Mg 3.17-3.18
Mg (0.9999, 0.7999, 0.6664)  12 Mg 3.17-3.18
Mg (0.0009, 0.4005, 0.3339)  12 Mg 3.16-3.19
Mg (0.0009, 0.4005, 0.6661)  12 Mg 3.16-3.19
Mg (0.0009, 0.6004, 0.3339)  12 Mg 3.16-3.19
Mg (0.0009, 0.6004, 0.6661)  12 Mg 3.16-3.19
Mg (0.1333, 0.0666, 0.1669)  12 Mg 3.17-3.18
Mg (0.1333, 0.0666, 0.8331)  12 Mg 3.17-3.18
Mg (0.1334, 0.2668, 0.1667)  12 Mg 3.16-3.18
Mg (0.1334, 0.2668, 0.8333)  12 Mg 3.16-3.18
Mg (0.1334, 0.8666, 0.1667)  12 Mg 3.16-3.18
Mg (0.1334, 0.8666, 0.8333)  12 Mg 3.16-3.18
Mg (0.1335, 0.0668, 0.5000)  12 Mg 3.17-3.19
Mg (0.1337, 0.2675, 0.5000)  12 Mg 3.17-3.19
Mg (0.1338, 0.4673, 0.1669)  12 Mg 3.17-3.20
Mg (0.1338, 0.4673, 0.8331)  12 Mg 3.17-3.20
Mg (0.1338, 0.6665, 0.1669)  12 Mg 3.17-3.20
Mg (0.1338, 0.6665, 0.8331)  12 Mg 3.17-3.20
Mg (0.1337, 0.8663, 0.5000)  12 Mg 3.17-3.19
Mg (0.1361, 0.4686, 0.5000)  11 Mg 3.12-3.21, 1 Ga 3.14
Mg (0.1361, 0.6676, 0.5000)  11 Mg 3.12-3.21, 1 Ga 3.14
Mg (0.2001, 0.0001, 0.0000)  12 Mg 3.18
Mg (0.2001, 0.0001, 0.3336)  12 Mg 3.17-3.18
Mg (0.2001, 0.0001, 0.6664)  12 Mg 3.17-3.18
Mg (0.2001, 0.2000, 0.0000)  12 Mg 3.18
Mg (0.2001, 0.2000, 0.3336)  12 Mg 3.17-3.18
Mg (0.2001, 0.2000, 0.6664)  12 Mg 3.17-3.18
Mg (0.1997, 0.3994, 0.3329)  12 Mg 3.16-3.19
Mg (0.1997, 0.3994, 0.6671)  12 Mg 3.16-3.19
Mg (0.2001, 0.4003, 0.0000)  12 Mg 3.18
Mg (0.2003, 0.6002, 0.0000)  12 Mg 3.17-3.18
Mg (0.2001, 0.7999, 0.0000)  12 Mg 3.18
Mg (0.1997, 0.8003, 0.3329)  12 Mg 3.16-3.19
Mg (0.1997, 0.8003, 0.6671)  12 Mg 3.16-3.19
Mg (0.2019, 0.6009, 0.3353)  11 Mg 3.14-3.20, 1 Ga 3.14
Mg (0.2019, 0.6009, 0.6647)  11 Mg 3.14-3.20, 1 Ga 3.14
Mg (0.3324, 0.4686, 0.5000)  11 Mg 3.12-3.21, 1 Ga 3.14
Mg (0.3324, 0.8639, 0.5000)  11 Mg 3.12-3.21, 1 Ga 3.14
Mg (0.3333, 0.0664, 0.1669)  12 Mg 3.17-3.19
Mg (0.3334, 0.0662, 0.5000)  12 Mg 3.17-3.21
Mg (0.3333, 0.0664, 0.8331)  12 Mg 3.17-3.19
Mg (0.3333, 0.2669, 0.1669)  12 Mg 3.17-3.19
Mg (0.3334, 0.2672, 0.5000)  12 Mg 3.17-3.21
Mg (0.3333, 0.2669, 0.8331)  12 Mg 3.17-3.19
Mg (0.3333, 0.6667, 0.1674)  12 Mg 3.17-3.18
Mg (0.3333, 0.6667, 0.8326)  12 Mg 3.17-3.18
Mg (0.3335, 0.4673, 0.1669)  12 Mg 3.17-3.20
Mg (0.3335, 0.4673, 0.8331)  12 Mg 3.17-3.20
Mg (0.3335, 0.8662, 0.1669)  12 Mg 3.17-3.20
Mg (0.3335, 0.8662, 0.8331)  12 Mg 3.17-3.20
Mg (0.3991, 0.6009, 0.3353)  11 Mg 3.14-3.20, 1 Ga 3.14
Mg (0.3991, 0.6009, 0.6647)  11 Mg 3.14-3.20, 1 Ga 3.14
=====
Millie was finally able to settle down comfortably with her three kittens and was cleaning and nursing them after birthing the last kitten and passing the retained placenta. She is doing a great job!